Today we are making two big announcements.The first is that we have been granted charitable status. We’ve always felt that our work was for the public benefit and felt that this was the right time in our journey to become a CIO.
The core of our work remains the same. Our vision of a more equitable society where people with lived experience are part of creating social change. We work alongside people with direct experience of social injustice and inequality to advocate for themselves and their communities publicly by providing training, support and mentoring, media meet ups and media opportunities. We work to address representation and diversity of voice in the media, finding platforms for our networks and building long term trusted relationships with journalists. We tackle the barriers that prevent these experts from engaging with the media. We also believe in a confident social sector able to develop and amplify lived experience stories and expertise to address social inequalities so work closely with charities to help them develop and train their own panels and spokespeople.
Our Spokesperson Network programme will be the backbone of our organisation and we work alongside a growing network of diverse media confident spokespeople.
And that brings us to my second announcement. Today we announce our cohort of 14 individuals who will be taking part in our new spokesperson programme for grassroots leaders with lived experience of social injustice and social inequality. The programme sets out to build their skills, confidence, networks and platforms to enable them to become more media confident and public spokespeople offering their expertise and insight to the big issues facing us today. Covid19 has shown that this work is as important as ever with social inequalities becoming even more stark through the pandemic.
I had no idea how difficult it was going to be to create a shortlist when we received 77 applications from across England for the 14 places on the programme. Each one of the applications I read showed a real need to address systems that had failed them by speaking publicly about their experiences and offering solutions to change.
We wanted to ensure that the shortlisting process was fair and transparent. We worked with Rosa Friend at the Cares Family to talk through how they recruited for their Multipliers programme and developed their criteria. Six people took part in our shortlisting process including Simeon and Amanda from our pilot cohort, a media consultant and one of our Trustees. The sounddelivery team conducted the interviews alongside one member of our pilot cohort. We spent days shortlisting and hours having conversations about the applications. I think everyone involved in the process was disappointed that we were unable to put everyone on the programme. It was a really difficult decision.
I want to introduce you to our new network.

Aisha Sanusi co-directs the African Caribbean Education Network and is seeking to address current issues of Black under-representation in Independent and Grammar schools and improve the experiences of black children once there.
Beth Thomas is the Mentoring Scheme Co-Ordinator & Safeguarding Director at Our Place Support, a social enterprise based in North Birmingham. Beth is passionate about using her own experiences to inspire others who have experienced trauma and issues with their mental health.
What comes next are records of crystals, not part of the page >
~~~
Calculated powder diffractogram of Sr3SbO8 for copper Kα, from DFT lattice parameters and positions (PBE).

Structure:
Cell lengths 5.6039, 5.6039, 11.6792 Å; angles 90.00, 90.00, 90.00 degrees
Space group I4/mmm (No. 139)
Symmetry-distinct sites (fractional):
Sr 0.0000 0.0000 0.0000 (multiplicity 2)
Sr 0.0000 0.5000 0.2500 (multiplicity 4)
Sb 0.0000 0.0000 0.5000 (multiplicity 2)
O 0.2133 0.2133 0.3899 (multiplicity 16)

The 10 most intense peaks (10 to 80 degrees two-theta), sorted by position:
d (Å)  2theta  intensity  (hkl)
5.052  17.55  7  1 0 1
3.279  27.20  100  1 1 2
2.920  30.62  8  0 0 4
2.802  31.94  15  2 0 0
2.022  44.83  40  2 0 4
1.981  45.80  19  2 2 0
1.747  52.37  16  1 1 6
1.696  54.08  28  3 1 2
1.639  56.10  8  2 2 4
1.310  72.07  13  3 1 6

---

Calculated powder diffractogram of CePu3Np2N6 for copper Kα, from DFT lattice parameters and positions (PBE).

Structure:
Cell lengths 6.0169, 10.4128, 6.0352 Å; angles 90.00, 109.39, 90.00 degrees
Space group C2/m (No. 12)
Symmetry-distinct sites (fractional):
Ce 0.0000 0.0000 0.0000 (multiplicity 2)
Pu 0.0000 0.1641 0.5000 (multiplicity 4)
Pu 0.0000 0.5000 0.5000 (multiplicity 2)
Np 0.0000 0.3328 0.0000 (multiplicity 4)
N 0.2307 0.5000 0.2400 (multiplicity 4)
N 0.2442 0.3258 0.7566 (multiplicity 8)

The 10 most intense peaks (10 to 80 degrees two-theta), sorted by position:
d (Å)  2theta  intensity  (hkl)
2.842  31.48  77  2 0 0
2.836  31.55  76  1 3 -1
2.459  36.55  100  1 3 1
1.741  52.57  35  2 0 2
1.736  52.72  35  3 3 -1
1.485  62.54  18  1 3 3
1.482  62.68  41  3 3 1
1.481  62.76  12  2 6 0
1.418  65.86  18  4 0 0
1.229  77.68  11  4 0 -4

---

Calculated powder diffractogram of Li2YOs for copper Kα, from DFT lattice parameters and positions (PBE).

Structure:
Cell lengths 6.3848, 6.3848, 6.3848 Å; angles 90.00, 90.00, 90.00 degrees
Space group Fm-3m (No. 225)
Symmetry-distinct sites (fractional):
Li 0.2500 0.2500 0.2500 (multiplicity 8)
Y 0.0000 0.0000 0.0000 (multiplicity 4)
Os 0.0000 0.0000 0.5000 (multiplicity 4)

The 10 most intense peaks (10 to 80 degrees two-theta), sorted by position:
d (Å)  2theta  intensity  (hkl)
3.686  24.14  23  1 1 1
3.192  27.95  100  2 0 0
2.257  39.94  89  2 2 0
1.925  47.21  13  3 1 1
1.843  49.45  28  2 2 2
1.596  57.76  15  4 0 0
1.465  63.51  6  3 3 1
1.428  65.36  36  4 2 0
1.303  72.53  31  4 2 2
1.229  77.72  4  5 1 1

---

Calculated powder diffractogram of TiMnI6 for copper Kα, from DFT lattice parameters and positions (PBE).

Structure:
Cell lengths 7.1375, 7.1375, 19.1633 Å; angles 90.00, 90.00, 120.00 degrees
Space group R-3 (No. 148, hexagonal axes)
Symmetry-distinct sites (fractional):
Ti 0.0000 0.0000 0.0000 (multiplicity 3)
Mn 0.0000 0.0000 0.5000 (multiplicity 3)
I 0.0094 0.6581 0.7488 (multiplicity 18)

The 10 most intense peaks (10 to 80 degrees two-theta), sorted by position:
d (Å)  2theta  intensity  (hkl)
3.569  24.95  12  1 1 0
3.194  27.94  18  0 0 6
3.116  28.65  100  2 -1 3
2.380  37.80  26  1 1 6
~~~
Chloe Deakin is a multi-disciplinary producer, who uses her expertise in communications, digital media, and youth work to promote healing, and growth within disenfranchised communities across the midlands.
Chloe Juliette is a passionate and active member of the care experienced community and works as a qualitative social researcher, with the hope of supporting better policy making.
Craig Jones is the Joint Chief Executive of the military LGBT+ charity Fighting With Pride and the principle leader of the Armed Forces LGBT+ community in the difficult years after the ‘ban’ was lifted.
Debs Teale is an advocate of creativity in health following her own remarkable mental health journey. She is a Trustee at the National Centre for Creative Health as well as a member of the Social Prescribing Network and Social Prescribing Academy.
Donna Weaver is a proud kinship carer of three, Director of the charity Kinship Carers UK, and a member of Family Rights Group Panel. Donna is generating awareness and seeking change for future kinship carers.
Eliza Rebeiro is the Co-Founder and current CEO of @LNKCharity based in Croydon that aims to reduce youth violence by engaging, educating and empowering up to 10,000 young people a year.
Jazz Moreton is an audio artist who has multiple disabilities as a result of surviving a stroke as a teenager. She has a drive for genuine equality, creating positive social change through art and the Arts.
Jodie Beck is a campaigner, organiser and co-founder of Our Empty Chair which brings together the voices of full hearts separated by prison.
John Crilly is a campaigner with the not-for-profit campaigning group JENGbA after being wrongfully convicted under Joint Enterprise himself. JENGbA campaign on behalf of, and with, those wrongfully convicted and are campaigning to reform legal abuse by Joint Enterprise.
Marie Van Herteryck is a Co-Founder of Neuro Diverse Self Advocacy. Marie entered the autism space by advocating and dealing with her childrens’ diagnosis and SEN provisions at school and soon she realised that autism was the name for what her life experiences were too.
Nasar Iqbal is the Founder and Director of Black Country Innovate, challenging and reducing all forms of hate crimes across the Borough of Walsall.
Zinthiya Ganeshp is the founder and CEO of the Zinthiya Trust a charity set up in 2009 aimed at supporting women and families in Leicester and Leicestershire to be free from poverty and abuse.
We really look forward to working with this group alongside our network from our pilot cohort and amplifying their work. We also want to say a huge thank you to our funders who’ve supported this programme; Lankelly Chase, The Tudor Trust and Paul Hamlyn Foundation.